The Dynamic Cuckoo Filter (DCF) is an efficient approximate membership test data structure. Different from the classic Bloom filter and its variants, DCF is especially designed for highly dynamic dataset and support extending and reducing its capacity. The advantages of DCF are as follows
- The DCF design is the first to achieve both reliable item deletion and flexibly extending/reducing for approximate set representation and membership testing
- DCF outperforms the state-of-the-art DBF design in terms of the capability of reliable item deletion
- A DCF reduces the required memory space of the DBF by 75% as well as improving the speeds of insert/query/delete operation by 30% to 80%.
A DCF leverages CF as building block and consists of a number of s linked homogeneous CFs. The DCF leverages fingerprints to represent items. Each fingerprints owns two candidate bucket addresses generated by partial-key cuckoo hashing. A DCF achieves dynamic capacity by appending new building blocks and removing empty building blocks generated by compact operation.
(Someone pasted records of crystals at this point)
+++
[1]
Density functional theory data (PBE-GGA) for a relaxed TaNiGe crystal.

Summary:
- electronic total energy (eV for the cell shown) = -94.19

abc: 6.302 3.785 7.216
angles: 90.00 90.00 90.00
Sites, in units of the cell vectors:
Ta1 0.016 0.250 0.177
Ta2 0.484 0.750 0.677
Ta3 0.516 0.250 0.323
Ta4 0.984 0.750 0.823
Ni1 0.163 0.250 0.573
Ni2 0.337 0.750 0.073
Ni3 0.663 0.250 0.927
Ni4 0.837 0.750 0.427
Ge1 0.216 0.750 0.386
Ge2 0.284 0.250 0.886
Ge3 0.716 0.750 0.114
Ge4 0.784 0.250 0.614

=====

[2]
Density functional theory data (PBE-GGA) for a relaxed TaNi3Ge crystal.

Summary:
- relative energy among the computed polymorphs (eV/atom) = 0.337
- electronic total energy (eV for the cell shown) = -30.64

abc: 4.239 4.239 4.239
angles: 90.00 90.00 90.00
Sites, in units of the cell vectors:
Ta1 0.000 0.000 0.000
Ni1 0.000 0.500 0.500
Ni2 0.500 0.000 0.500
Ni3 0.500 0.500 0.000
Ge1 0.500 0.500 0.500

=====

[3]
Density functional theory data (PBE-GGA) for a relaxed Ta2Ni4Ge crystal.

Summary:
- electronic total energy (eV for the cell shown) = -93.28

abc: 4.118 4.118 13.148
angles: 90.00 90.00 90.00
Sites, in units of the cell vectors:
Ta1 0.000 0.000 0.153
Ta2 0.000 0.000 0.847
Ta3 0.500 0.500 0.347
Ta4 0.500 0.500 0.653
Ni1 0.000 0.000 0.329
Ni2 0.000 0.000 0.671
Ni3 0.000 0.500 0.000
Ni4 0.000 0.500 0.500
Ni5 0.500 0.000 0.000
Ni6 0.500 0.000 0.500
Ni7 0.500 0.500 0.171
Ni8 0.500 0.500 0.829
Ge1 0.000 0.000 0.500
Ge2 0.500 0.500 0.000

~~~~~

[1]
A relaxed La5Tm6 crystal. Source: Alexandria, functional PBE.

Properties
For the excess energy over the best structure of this formula in the dataset, the calculation gives 0.0 meV/atom. As for the space group: Immm (71). For the density of states at the Fermi level, the calculation gives 15.65 states/eV per cell.

a b c (Å): 9.512 9.512 9.512
angles (deg): 145.51 128.85 63.16
Sites, in units of the cell vectors:
La: 0.000 0.000 0.000
La: 0.163 0.663 0.500
La: 0.303 0.303 0.000
La: 0.697 0.697 0.000
La: 0.837 0.337 0.500
Tm: 0.162 0.865 0.297
Tm: 0.294 0.500 0.794
Tm: 0.432 0.135 0.297
Tm: 0.568 0.865 0.703
Tm: 0.706 0.500 0.206
Tm: 0.838 0.135 0.703

=====

[2]
A relaxed La3Tm crystal. Source: Alexandria, functional PBE.

Properties
The total DFT energy (no corrections) comes out at -4.79 eV/atom. As for the space group: I4/mmm (139). For the density of states at the Fermi level, the calculation gives 7.13 states/eV per cell.

a b c (Å): 6.373 6.373 6.373
angles (deg): 132.02 132.02 70.19
Sites, in units of the cell vectors:
La: 0.000 0.000 0.000
La: 0.250 0.750 0.500
La: 0.750 0.250 0.500
Tm: 0.500 0.500 0.000

=====

[3]
A relaxed La4Tm crystal. Source: Alexandria, functional PBE.

Properties
For the excess energy over the best structure of this formula in the dataset, the calculation gives 558.1 meV/atom. As for the space group: Pm-3m (221). For the density of states at the Fermi level, the calculation gives 9.22 states/eV per cell.

a b c (Å): 5.938 5.938 5.938
angles (deg): 90.00 90.00 90.00
+++
Generate DCF according to the expected maximum item number, expected false positive rate.
DynamicCuckooFilter* dcf = new DynamicCuckooFilter(config.item_num, config.exp_FPR);
The expected building block number of DCF is set to 6 by default and can also be modified as follow
DynamicCuckooFilter* dcf = new DynamicCuckooFilter(config.item_num, config.exp_FPR, config.exp_BBN);
Four operations of DCF: Insert, Query, Delete and Compact
dcf->insertItem(item) // insert item ,item is a char* format
dcf->queryItem(item) //query item
# Inserted here: records of crystals
┌──
A geometry-optimized La2Ga3Ni2 structure. Source: Alexandria, functional GGA-PBE.

Computed properties:
- Uncorrected energy: -68.057 eV for the cell shown
- Theoretical density: 7068 kg/m³
- Formation energy: -0.504 eV per atom
- Fermi-level density of states: 11.0 states/eV/cell

a = 4.346 Å, b = 7.011 Å, c = 9.570 Å
α = 90.00°, β = 103.12°, γ = 90.00°
Element x y z (fractional)
Ga  0.562  0.070  0.124
Ni  0.692  0.559  0.385
Ga  0.223  0.750  0.447
La  0.939  0.250  0.878
Ni  0.308  0.441  0.615
Ga  0.777  0.250  0.553
Ga  0.438  0.930  0.876
La  0.061  0.750  0.122
Ga  0.562  0.430  0.124
La  0.164  0.250  0.328
└──
# The records of crystals stop here
dcf->deleteItem(item) //delete item
## Next to the article, the page also holds data records
-- begin --
The following is a SCAN calculation of a crystal of Nd2H5 relaxed with PBEsol, from the Alexandria database.

Cell: 6.6060 6.6060 6.6060 Å, 132.39 132.39 69.62°
Positions (direct):
Nd  0.1208  0.3708  0.7500
Nd  0.3708  0.1208  0.2500
Nd  0.6292  0.8792  0.7500
Nd  0.8792  0.6292  0.2500
H  0.0000  0.2686  0.2686
H  0.0000  0.7314  0.7314
H  0.1250  0.8750  0.2500
H  0.2686  0.0000  0.7686
H  0.2686  0.5000  0.2686
H  0.5000  0.2686  0.7686
H  0.5000  0.7314  0.2314
H  0.7314  0.0000  0.2314
H  0.7314  0.5000  0.7314
H  0.8750  0.1250  0.7500

Results
Energy in eV per atom: -15.62
Density in g/cm³: 6.32
SG: I4_1/amd (141)

---

The following is a SCAN calculation of a crystal of NdH3 relaxed with PBEsol, from the Alexandria database.

Cell: 6.5559 6.5559 6.7603 Å, 90.00 90.00 120.00°
Positions (direct):
Nd  0.0000  0.3363  0.2500
Nd  0.0000  0.6637  0.7500
Nd  0.3363  0.0000  0.2500
Nd  0.3363  0.3363  0.7500
Nd  0.6637  0.0000  0.7500
Nd  0.6637  0.6637  0.2500
H  0.0000  0.0000  0.2500
H  0.0000  0.0000  0.7500
H  0.0230  0.3447  0.9042
H  0.0230  0.6783  0.4042
H  0.3217  0.3447  0.4042
H  0.3217  0.9770  0.9042
H  0.3333  0.6667  0.1676
H  0.3333  0.6667  0.6676
H  0.3447  0.0230  0.5958
H  0.3447  0.3217  0.0958
H  0.6553  0.6783  0.9042
H  0.6553  0.9770  0.4042
H  0.6667  0.3333  0.3324
H  0.6667  0.3333  0.8324
H  0.6783  0.0230  0.0958
H  0.6783  0.6553  0.5958
H  0.9770  0.3217  0.5958
H  0.9770  0.6553  0.0958

Results
Energy in eV per atom: -14.15
Density in g/cm³: 5.83
SG: P-3c1 (165)

---

The following is a SCAN calculation of a crystal of NdNiSnH relaxed with PBEsol, from the Alexandria database.

Cell: 7.1294 4.3313 8.3381 Å, 90.00 90.00 90.00°
Positions (direct):
Nd  0.0135  0.2500  0.1901
Nd  0.4865  0.7500  0.6901
Nd  0.5135  0.2500  0.3099
Nd  0.9865  0.7500  0.8099
Ni  0.2205  0.7500  0.3992
Ni  0.2795  0.2500  0.8992
Ni  0.7205  0.7500  0.1008
Ni  0.7795  0.2500  0.6008
Sn  0.1596  0.2500  0.5697
Sn  0.3404  0.7500  0.0697
Sn  0.6596  0.2500  0.9303
Sn  0.8404  0.7500  0.4303
H  0.0576  0.2500  0.9185
H  0.4424  0.7500  0.4185
H  0.5576  0.2500  0.5815
H  0.9424  0.7500  0.0815

Results
Energy in eV per atom: -25.46
Density in g/cm³: 8.32
SG: Pnma (62)

---

The following is a SCAN calculation of a crystal of NdNiSnH2 relaxed with PBEsol, from the Alexandria database.

Cell: 4.3282 4.3282 8.3870 Å, 90.00 90.00 120.00°
Positions (direct):
Nd  0.0000  0.0000  0.0000
Nd  0.0000  0.0000  0.5000
Ni  0.3333  0.6667  0.2500
Ni  0.6667  0.3333  0.7500
Sn  0.3333  0.6667  0.7500
Sn  0.6667  0.3333  0.2500
H  0.3333  0.6667  0.0604
H  0.3333  0.6667  0.4396
H  0.6667  0.3333  0.5604
H  0.6667  0.3333  0.9396

Results
Energy in eV per atom: -21.15
Density in g/cm³: 7.90
SG: P6_3/mmc (194)

~~~~~

No. 1
VASP calculation (GGA-PBEsol) on a geometry-optimized Y4CdRu structure.

a b c (Å): 9.476 9.476 9.476
angles (deg): 60.00 60.00 60.00
Fractional coordinates of all 24 atoms:
Y1 0.810 0.190 0.810
Ru1 0.861 0.418 0.861
-- stop --
dcf->compact() //compact DCF
We implement DCF in a Linux (Ubuntu 14.04.3 LTS) with an Intel(R) Core(TM) i5-2430M CPU @2.4GHz and OpenSSL library environment.
Install OpenSSL (Please refer to to learn more).
sudo apt-get install openssl
sudo apt-get install libssl-dev
Build and run the example
cd src/
make test
Configurations including false pisitive, item number and dataset path can be costomized in "configuration/config.txt".
false positive = 0.02
item number = 1000000
input file path = input/input2.txt
Results are shown in "output/results.txt", including false positive, fingerprint size, building block number, operation time consumed and etc. In the following is the comparison of DCF and DBF when dealing with 1,000,000 items (including insert/query/delete/compact operation).
item_num: total number inserted/queried/deleted
exp_FPR: the expected false positive rate
actual_FPR: the false positive rate that we measured
actual_BBN: the building block number that we observed
F_size: fingerprint size
space_cost: space overhead of data structure
I_time: insert time
Q_time: query time
D_time: delete time
C_rate: compact rate
/// item_num exp_FPR actual_FPR actual_BBN F_size(bits) space_cost(MB) I_time(s) Q_time(s) D_time(s) C_rate ///
/// 1000000 0.0005 0.000502 5 16 2.5 1.08 1.05 1.36 1 ///
/// 1000000 0.0005 0.000505 7 0 10.8754 1.69 1.92 3.35 0 ///
/// 4X 1.5X 1.8X 2.4X ///
After transform operation time to speed, the DCF improving the speeds of insert/query/delete by 30% to 80% and 4X space efficiency.
DCF is developed in Big Data Technology and System Lab, Services Computing Technology and System Lab, School of Computer Science and Technology, Huazhong University of Science and Technology, Wuhan, China by Liangyi Liao (, Hanhua Chen (, Hai Jin (
Copyright (C) 2017, STCS & CGCL and Huazhong University of Science and Technology.
If you want to know more detailed information, please refer to this paper:
Hanhua Chen, Liangyi Liao, Hai Jin, Jie Wu, "The Dynamic Cuckoo Filter," Proceedings of the 25th IEEE International Conference on Network Protocols (ICNP 2017), Toronto, Canada, Oct. 10-13, 2017.